Chapter Twenty-Two Community Diagnosis (2016) Berthold, T., Editor Foundations For Community Health Workers (2nd Edition) (2016) Berthold, T., Editor San Francisco, C.A.: Jossey-Bass Chapter Twenty-Two Community Diagnosis
Reflection of Last Session What did you learn? Group dynamics Benefits of group work Common challenges of group facilitation Have students review what they learned from the last session on these key topics.
What You Will Learn Define community diagnosis and discuss key concepts and methods related to community diagnosis Explain how community diagnosis is used to guide public health programs and efforts to advocate for social change Describe and apply seven key steps in a community diagnosis process Participate in the design and execution of a community-centered and strength-based community diagnosis
What You Will Learn Discuss the role of the CHW in community diagnosis Identify and develop effective research tools for gathering information for the diagnosis Summarize and analyze research findings Explain how research findings are used to develop an action plan
Words to Know Assessment of Community Strengths and Assets Needs Assessment Qualitative Data Quantitative Data Content Analysis Root Causes Institutional Review Boards Sample Leading Questions
Community Diagnosis Identifying Community Concerns Uncovering Root Causes Developing Clear Plan to Resolve
Community Diagnosis The art and the process that identifies community concerns or problems, uncovers the root causes, and develops a clear plan to overcome them. Community-Driven and Participatory Strength-Based Focuses on Root Causes
Key Concepts Educates and raises consciousness of all participants Values the community’s knowledge and experience Prioritizes culture and cultural humility in design, implementation, and analysis Values collaboration and participation during all phases Seeks political action and/or social change to improve community health and reduce health inequality
Role of the CHW during Community Diagnosis Facilitate and support community engagement Empower diverse community leadership Connect community to key resources Use client-centered/community-centered skills It is not the CHW’s role to make key decisions about the diagnosis
Seven Steps to Conduct a Community Diagnosis Identify and bring the community together Choose a focus Select research tools Conduct research Summarize research findings Analyze research findings Develop an action plan
Step 1 – Identify and Bring the Community Together Identify the group - nationality, language, risk factors, and interests are ways to bring a community to together Promote and advertise meetings to ensure that the entire community learns what is going on Use local media, schools, faith-based organizations, service organizations, businesses, and unions to get the word out!
Step 2 – Choosing a Focus Community members select a specific area of concern and a list of questions they want to answer about the issue. Focus should meet the following criteria: Meaningful – will make a difference Reach – will impact many people High Need – within the community related to the issue Public support – will be easy to get support in the community Political will – there is a will within the community to address issue Practical – expertise, time, and resources are available Clear target – there is a clearly-defined policy-making body (i.e. county board, state legislature) that can influence the identified issue
Step 3 – Select Research Tools Research tools gather information or data about a selected problem. There are two types of data: Quantitative data Qualitative data Quantitative data – Data that can be counted/measured numerically. Examples: Surveys and public health data records Qualitative data – Descriptive, in-depth understanding of how people experience a problem. Examples: Interviews and focus groups
Step 4 – Conduct Research Review Table 22.1 on page 642 Tools to conduct research: library, internet, community forums, and surveys. Descriptions: library – visit a local library and work with librarian to research problem. internet – use search engines like Google to get data or to network. community forums – organize community meetings to get community input. surveys – conduct individual or group surveys to find out people’s opinions on problem.
Step 5 – Summarize Research Findings Edit research findings so that everyone can understand the results. Make sure participants aren’t left out because they’re not comfortable talking about statistics. Highlight important findings related to the problem.
Step 6 – Analyze Research Findings Present information and research findings to the community for them to analyze and interpret. As the community is reviewing information and findings, ask questions such as: What are the solutions to the problem? Who in the community is affected by the problem? What does the community think are the causes and consequences of the problem?
Step 7 – Develop an Action Plan Based on research findings analysis, community members develop an action plan. Action plan addresses identified problems and creates change. Action plan allows all community members to participate. Example: collecting petition signatures for a community playground.
Practice Identify a problem that is affecting your community and research tools you would use to investigate Complete HW & DB in Blackboard Read Chapter 23
Resources: Image on slide 2 digital-drugs-binaural-beats by digitalbob8 is licensed under CC BY 2.0 Image on slide 3 Bring Light Bulb is available in the public domain under CC0 Public Domain Image on slide 6 Wikimania 2012 Group Photograph-0001a by helpameout is licensed under CC BY-SA 3.0 White male is available in the public domain under CC0 Public Domain Image on slide 10 Integration is available in the public domain under CC0 Public Domain Image on slide 15 Magnifying glass is available in the public domain under CC0 Public Domain Image on slide 16 Playground is available in the public domain under CC0 Public Domain Image on slide 14 Green door is available in the public domain under CC0 Public Domain
The article is interrupted by records of crystals
'''
1.
The following is a calculated X-ray diffraction stick pattern of PmCrNi2H8. It was derived from a GGA-PBE-relaxed structure, using Cu Kα X-rays.
No peak broadening, texture or thermal motion is included.

Principal peaks in the range 5 to 70 degrees two-theta, low angle first:
| d/Å | intensity |
| --- | --- |
| 3.809 | 42 |
| 2.807 | 100 |
| 2.486 | 40 |
| 2.263 | 76 |
| 1.762 | 25 |
| 1.729 | 20 |
| 1.403 | 17 |
| 1.390 | 22 |

Crystal structure
```
PmCrNi2H8
1.0
2.2634 1.3068 5.3600
-2.2634 1.3068 5.3600
0.0000 -2.6136 5.3600
Pm Cr Ni H
1 1 2 8
Direct
0.0000 0.0000 0.0000
0.5000 0.5000 0.5000
0.2129 0.2129 0.2129
0.7871 0.7871 0.7871
0.1297 0.7990 0.4120
0.2010 0.5880 0.8703
0.3112 0.3112 0.3112
0.4120 0.1297 0.7990
0.5880 0.8703 0.2010
0.6888 0.6888 0.6888
0.7990 0.4120 0.1297
0.8703 0.2010 0.5880
```



2.
The following is a calculated X-ray diffraction stick pattern of CrNiH2Rh. It was derived from a GGA-PBE-relaxed structure, using Cu Kα X-rays.
No peak broadening, texture or thermal motion is included.

Principal peaks in the range 5 to 70 degrees two-theta, low angle first:
| d/Å | intensity |
| --- | --- |
| 3.387 | 11 |
| 2.339 | 28 |
| 2.315 | 16 |
| 2.196 | 47 |
| 2.079 | 100 |
| 2.050 | 59 |
| 2.021 | 31 |
| 1.588 | 12 |

Crystal structure
```
CrNiH2Rh
1.0
5.0362 -1.3553 0.0000
5.0362 1.3553 0.0000
-1.6359 0.0000 6.0618
Cr Ni H Rh
2 2 4 2
Direct
0.0215 0.0215 0.3139
0.9785 0.9785 0.6861
0.3716 0.3716 0.9724
0.6284 0.6284 0.0276
0.1648 0.1648 0.8790
0.3530 0.3530 0.6938
0.6470 0.6470 0.3062
0.8352 0.8352 0.1210
0.3172 0.3172 0.3625
0.6828 0.6828 0.6375
```



3.
The following is a calculated X-ray diffraction stick pattern of NpCr2H8. It was derived from a GGA-PBE-relaxed structure, using Cu Kα X-rays.
No peak broadening, texture or thermal motion is included.

Principal peaks in the range 5 to 70 degrees two-theta, low angle first:
| d/Å | intensity |
| --- | --- |
| 4.124 | 81 |
| 3.147 | 86 |
| 2.502 | 100 |
| 2.434 | 22 |
| 2.096 | 29 |
| 2.062 | 27 |
| 1.725 | 31 |
| 1.573 | 24 |

Crystal structure
```
NpCr2H8
1.0
4.1243 0.0000 0.0000
0.0000 4.1243 0.0000
0.0000 0.0000 4.8676
Np Cr H
1 2 8
Direct
0.0000 0.0000 0.0000
0.0000 0.5000 0.5000
0.5000 0.0000 0.5000
0.2807 0.2807 0.2984
0.2807 0.2807 0.7016
0.2807 0.7193 0.2984
0.2807 0.7193 0.7016
0.7193 0.2807 0.2984
0.7193 0.2807 0.7016
0.7193 0.7193 0.2984
0.7193 0.7193 0.7016
```

~~~~~

The following is a theoretical XRD peak list of DyMg15Sc4. It was derived from the PBE geometry in Alexandria, using λ = 1.5418 Å (Cu Kα).

Largest 12 diffraction maxima, low angle first, 10 to 90 degrees two-theta:
2θ 19.35, rel. 182, hkl 1 0 0
2θ 19.76, rel. 94, hkl 1 0 1
2θ 19.95, rel. 85, hkl 0 0 5
2θ 27.93, rel. 146, hkl 1 0 5
2θ 34.21, rel. 1000, hkl 1 1 5
2θ 39.28, rel. 342, hkl 2 0 0
2θ 40.54, rel. 147, hkl 0 0 10
2θ 56.76, rel. 111, hkl 2 2 0
2θ 57.73, rel. 199, hkl 2 0 10
2θ 67.97, rel. 250, hkl 3 1 5
2θ 69.70, rel. 102, hkl 1 1 15
2θ 72.06, rel. 98, hkl 2 2 10

Atomic structure:
```
'''
Acknowledgements: MoSTEMWINs Adapted from the Foundations for Community Health Workers, 2nd Edition (Berthold) with permission from Wiley Publishing by the Institute of Workforce Innovation of the Metropolitan Community College Kansas City and the Workforce Solutions Group of St. Louis Community College. Unless otherwise noted this material by St. Louis Community College is licensed under a Creative Commons Attribution 4.0 International License. This product is partially funded by the MoSTEMWINs $19.7 million grant from the U.S. Department of Labor Employment and Training Administration. The product was created by the grantee and does not necessarily reflect the official position of the U.S. Department of Labor. The Department of Labor makes no guarantees, warranties, or assurances of any kind, express or implied, with respect to such information, including any information on linked sites and including, but not limited to, accuracy of the information or its completeness, timeliness, usefulness, adequacy, continued availability, or ownership MoSTEMWINs